Copy every line further below that contains the word "Ac".

'''
No. 1
Rb2Cd3Hg8: relaxed, PBE.

Geometry as extended XYZ:
```
13
Lattice="9.096 -3.460 0.000 9.096 3.460 0.000 -1.487 0.000 6.272" Properties=species:S:1:pos:R:3 pbc="T T T"
Rb 2.970 0.000 1.908
Rb 13.736 0.000 4.364
Cd -0.744 0.000 3.136
Cd 9.096 1.954 0.000
Cd 9.096 -1.954 0.000
Hg 6.468 1.670 1.535
Hg 3.875 0.000 5.419
Hg 10.238 1.670 4.737
Hg 6.780 0.000 4.148
Hg 9.925 0.000 2.124
Hg 6.468 -1.670 1.535
Hg 12.831 0.000 0.853
Hg 10.238 -1.670 4.737
```

## Properties
ΔE_f ... -1.63 eV/f.u.
Total magnetization ... 0.0 Bohr magnetons per cell
Raw total energy ... -0.6711 eV/atom
D(E_F) ... 4.28 states/eV/cell
Mass density ... 8.9 g cm⁻³

=====

No. 2
Pm12DyTm7: relaxed, PBE.

Geometry as extended XYZ:
```
20
Lattice="6.024 3.478 5.369 -6.024 3.478 5.369 0.000 -6.956 5.369" Properties=species:S:1:pos:R:3 pbc="T T T"
Pm -1.926 -0.595 4.658
Pm -0.742 -3.251 7.154
Pm -3.187 -0.983 8.954
Pm 1.479 -1.370 4.658
Pm -2.444 2.268 7.154
Pm 0.447 1.966 4.658
Pm -0.447 -1.966 11.450
Pm 2.444 -2.268 8.954
Pm -1.479 1.370 11.450
Pm 3.187 0.983 7.154
Pm 0.742 3.251 8.954
Pm 1.926 0.595 11.450
Dy 0.000 0.000 0.000
Tm -5.306 0.578 6.718
Tm -3.154 -4.306 9.390
Tm 2.152 -4.884 6.718
Tm 0.000 0.000 8.054
Tm -2.152 4.884 9.390
Tm 3.154 4.306 6.718
Tm 5.306 -0.578 9.390
```

## Properties
ΔE_f ... 4.54 eV/f.u.
Total magnetization ... 0.0 Bohr magnetons per cell
Raw total energy ... -4.4187 eV/atom
D(E_F) ... 38.01 states/eV/cell
Excess energy over the best structure of this formula in the dataset ... 0.0000 eV/atom
Mass density ... 7.6 g cm⁻³

=====

No. 3
La2MgZn: relaxed, PBE.

Geometry as extended XYZ:
```
4
Lattice="1.852 1.069 9.998 -1.852 1.069 9.998 0.000 -2.138 9.998" Properties=species:S:1:pos:R:3 pbc="T T T"
La 0.000 0.000 0.000
La 0.000 0.000 6.985
Mg 0.000 0.000 22.812
Zn 0.000 0.000 14.652
```

## Properties
ΔE_f ... 0.08 eV/f.u.
Total magnetization ... 0.0 Bohr magnetons per cell
Raw total energy ... -3.1618 eV/atom
D(E_F) ... 4.58 states/eV/cell
Excess energy over the best structure of this formula in the dataset ... 0.2355 eV/atom
Mass density ... 5.1 g cm⁻³

=====

1.
VASP calculation (PBE) on an optimized crystal structure of Ac2PrPN5.

The space group is I4/mcm (No. 140) and the conventional cell measures 7.052, 7.052 and 11.162 Å, with angles of 90.00, 90.00 and 90.00 degrees. The inequivalent atoms are Ac at (0.182, 0.318, 0.000), Pr at (0.000, 0.000, 0.250), P at (0.000, 0.500, 0.250), N at (0.000, 0.000, 0.000) and N at (0.132, 0.368, 0.340).

The calculation puts the density of states at the Fermi level at 20.80 states/eV per cell. For the formation energy without anion corrections, the calculation gives -1.0242 eV/atom.


2.
VASP calculation (PBE) on an optimized crystal structure of AgP4Cl.

The space group is F-43m (No. 216) and the conventional cell measures 8.098, 8.098 and 8.098 Å, with angles of 90.00, 90.00 and 90.00 degrees. The inequivalent atoms are Ag at (0.000, 0.000, 0.000), P at (0.096, 0.096, 0.404) and Cl at (0.250, 0.250, 0.750).

For the formation energy without anion corrections, the calculation gives 0.2149 eV/atom.


3.
VASP calculation (PBE) on an optimized crystal structure of Hf6InMo.

The space group is R-3 (No. 148, hexagonal axes) and the conventional cell measures 8.0676, 8.0676 and 9.1278 Å, with angles of 90.00, 90.00 and 120.00 degrees. The inequivalent atoms are Hf at (0.0182, 0.7781, 0.2254), In at (0.0000, 0.0000, 0.5000) and Mo at (0.0000, 0.0000, 0.0000).

The calculation puts the energy above the lowest structure with this stoichiometry at 0.0 meV/atom. The value obtained for the formation energy is 0.009 eV per atom. The calculation puts the density of states at the Fermi level at 23.62 states/eV per cell.


4.
VASP calculation (PBE) on an optimized crystal structure of Ho5Te2Os.
'''

The space group is I4/mcm (No. 140) and the conventional cell measures 7.052, 7.052 and 11.162 Å, with angles of 90.00, 90.00 and 90.00 degrees. The inequivalent atoms are Ac at (0.182, 0.318, 0.000), Pr at (0.000, 0.000, 0.250), P at (0.000, 0.500, 0.250), N at (0.000, 0.000, 0.000) and N at (0.132, 0.368, 0.340).